It’s normal to want some proof that things like penis extenders actually work. That has inspired several different studies into the efficacy of penile enlargement devices. At the same time, more and more men have become willing to come out from the shadows and openly discuss how they struggled with issues of size and eventually what they did to solve the problem once and for all. This influx of new information and fresh, honest perspectives have fuelled a new generation of penile enlargement and male enhancement products as well as a new appreciation for the industry.
Someone pasted calculated crystals at this point
<<<
No. 1
Structure and computed X-ray diffraction stick pattern of Pm2MgSe4 (a GGA-PBE-relaxed structure; Cu Ka).
No peak broadening, texture or thermal motion is included.

The 6 most intense peaks (2θ from 10° to 90°), in order of falling intensity:
d (Å), intensity
2.218, 1000
4.551, 979
3.784, 798
2.045, 609
2.228, 507
3.079, 447

Cell and atoms:
Lattice parameters (Å, degrees): 7.6705 8.9104 13.9094 99.45 95.64 90.01
Space group P-1 (No. 2)
Asymmetric unit:
Pm  0.1316  0.4434  0.3021 [2 per cell]
Pm  0.1336  0.9578  0.3060 [2 per cell]
Pm  0.2578  0.1290  0.0008 [2 per cell]
Pm  0.3654  0.3004  0.6960 [2 per cell]
Mg  0.2509  0.6212  0.9947 [2 per cell]
Mg  0.3658  0.8001  0.7034 [2 per cell]
Se  0.0919  0.4105  0.0998 [2 per cell]
Se  0.1103  0.8915  0.1030 [2 per cell]
Se  0.1970  0.5469  0.6263 [2 per cell]
Se  0.1997  0.0162  0.6273 [2 per cell]
Se  0.3081  0.7189  0.3796 [2 per cell]
Se  0.3376  0.2198  0.3745 [2 per cell]
Se  0.3881  0.8408  0.8917 [2 per cell]
Se  0.4111  0.3588  0.8988 [2 per cell]

---

No. 2
Structure and computed X-ray diffraction stick pattern of Pm2MgSe4 (a GGA-PBE-relaxed structure; Cu Ka).
No peak broadening, texture or thermal motion is included.

The 6 most intense peaks (2θ from 10° to 90°), in order of falling intensity:
d (Å), intensity
2.760, 1000
2.404, 845
2.881, 583
2.773, 542
2.341, 385
1.897, 290

Cell and atoms:
Lattice parameters (Å, degrees): 8.7293 8.7293 9.1557 90.00 90.00 90.00
Space group I-42d (No. 122)
Asymmetric unit:
Pm  0.1319  0.2500  0.1250 [8 per cell]
Mg  0.0000  0.0000  0.5000 [4 per cell]
Se  0.0676  0.1971  0.8097 [16 per cell]

=====

[1]
Nd4O5: simulated X-ray diffraction stick pattern (Cu Ka), based on a cell relaxed with PBE.

Unit cell a=4.565 b=4.565 c=7.293 alpha=90.00 beta=90.00 gamma=90.00
Space group P4/mmm (No. 123)
Unique sites:
Nd  0.000  0.000  0.000 [1 per cell]
Nd  0.000  0.000  0.500 [1 per cell]
Nd  0.500  0.500  0.210 [2 per cell]
O  0.000  0.500  0.221 [4 per cell]
O  0.500  0.500  0.500 [1 per cell]

Main lines, sorted by position (5° ≤ 2θ ≤ 70°):
(hkl)  2θ/deg  d_spacing  Rel. int.
1 1 0  27.64  3.228  70
1 0 2  31.40  2.849  100
2 0 0  39.48  2.282  42
1 0 3  42.11  2.146  7
0 0 4  50.03  1.823  6
2 1 2  51.29  1.781  51
2 2 0  57.07  1.614  14
1 1 4  58.11  1.588  11
2 1 3  59.09  1.563  5
3 1 0  64.56  1.443  13
2 0 4  65.53  1.425  11
3 0 2  66.60  1.404  12

[2]
Ho2GaPdI2: simulated X-ray diffraction stick pattern (Cu Ka), based on a cell relaxed with PBE.

Unit cell a=4.2953 b=4.2953 c=11.6756 alpha=90.00 beta=90.00 gamma=120.00
Space group P3m1 (No. 156)
Unique sites:
Ho  0.0000  0.0000  0.0000 [1 per cell]
Ho  0.0000  0.0000  0.3137 [1 per cell]
Ga  0.3333  0.6667  0.1621 [1 per cell]
Pd  0.6667  0.3333  0.1493 [1 per cell]
I  0.3333  0.6667  0.8235 [1 per cell]
I  0.6667  0.3333  0.4870 [1 per cell]

Main lines, sorted by position (5° ≤ 2θ ≤ 70°):
(hkl)  2θ/deg  d_spacing  Rel. int.
0 0 1  7.57  11.676  97
1 0 1  25.13  3.544  41
>>>
Here the text continues
But then a guy like Roberto Esquivel Cabrera comes around and shakes things up all over again. Simply put, Cabrera is an example of someone who takes a good thing a little (or a lot) too far. Cabrera made headlines in 2015 when a video of him went viral. In the clip, he is seen measuring and weighing his penis in an attempt to attract the attention – and the validation – of the Guinness World’s records people.
You see, Cabrera is unique in that the size of his penis measures in at just shy of 20 inches, making it arguably the largest penis in the world. It’s a record Cabrera not only desperately wants, it’s also something he has worked his entire life to achieve.
Misplaced data records:
=====
(1)
Simulated X-ray diffraction stick pattern
Compound: Er2B6Ru
Radiation: copper Kα
Structure: DFT lattice parameters and positions (GGA-PBE)
Neutral-atom scattering factors, no anomalous dispersion.

Most intense lines, 10° ≤ 2θ ≤ 80°, by intensity:
2θ (°)  I (rel.)
24.48  100
39.51  92
30.52  75
41.87  35
40.06  33
41.32  32
33.42  27
31.20  27
32.75  25
59.88  23

Crystal structure
Unit cell a=9.099 b=11.466 c=3.636 alpha=90.00 beta=90.00 gamma=90.00
Positions (direct):
Er (0.056, 0.127, 0.000)
Er (0.178, 0.414, 0.000)
Er (0.322, 0.914, 0.000)
Er (0.444, 0.627, 0.000)
Er (0.556, 0.373, 0.000)
Er (0.678, 0.086, 0.000)
Er (0.822, 0.586, 0.000)
Er (0.944, 0.873, 0.000)
B (0.017, 0.287, 0.500)
B (0.053, 0.567, 0.500)
B (0.109, 0.970, 0.500)
B (0.131, 0.815, 0.500)
B (0.209, 0.234, 0.500)
B (0.248, 0.580, 0.500)
B (0.252, 0.080, 0.500)
B (0.291, 0.734, 0.500)
B (0.369, 0.315, 0.500)
B (0.391, 0.470, 0.500)
B (0.447, 0.067, 0.500)
B (0.483, 0.787, 0.500)
B (0.517, 0.213, 0.500)
B (0.553, 0.933, 0.500)
B (0.609, 0.530, 0.500)
B (0.631, 0.685, 0.500)
B (0.709, 0.266, 0.500)
B (0.748, 0.920, 0.500)
B (0.752, 0.420, 0.500)
B (0.791, 0.766, 0.500)
B (0.869, 0.185, 0.500)
B (0.891, 0.030, 0.500)
B (0.947, 0.433, 0.500)
B (0.983, 0.713, 0.500)
Ru (0.138, 0.679, 0.000)
Ru (0.362, 0.179, 0.000)
Ru (0.638, 0.821, 0.000)
Ru (0.862, 0.321, 0.000)

(2)
Simulated X-ray diffraction stick pattern
Compound: Ho3ErBi2
Radiation: copper Kα
Structure: DFT lattice parameters and positions (GGA-PBE)
Neutral-atom scattering factors, no anomalous dispersion.

Most intense lines, 10° ≤ 2θ ≤ 80°, by intensity:
2θ (°)  I (rel.)
34.99  100
29.78  81
39.79  59
51.52  40
31.37  40
69.13  34
57.55  30
27.85  22
37.26  19
67.01  18

Crystal structure
Unit cell a=4.531 b=4.531 c=8.554 alpha=90.00 beta=90.00 gamma=90.00
Positions (direct):
Ho (0.000, 0.000, 0.000)
Ho (0.000, 0.500, 0.656)
Ho (0.500, 0.000, 0.344)
Er (0.500, 0.500, 0.000)
Bi (0.000, 0.500, 0.285)
Bi (0.500, 0.000, 0.715)

(3)
Simulated X-ray diffraction stick pattern
Compound: Ba5Y8Zn4O21
Radiation: copper Kα
Structure: DFT lattice parameters and positions (GGA-PBE)
Neutral-atom scattering factors, no anomalous dispersion.

Most intense lines, 10° ≤ 2θ ≤ 80°, by intensity:
2θ (°)  I (rel.)
30.67  100
31.02  34
27.80  25
54.96  19
37.65  18
35.80  17
42.74  16
49.55  15
41.69  13
28.66  12

Crystal structure
Unit cell a=10.263 b=10.263 c=10.263 alpha=94.53 beta=94.53 gamma=147.37
Positions (direct):
Ba (0.000, 0.000, 0.000)
Ba (0.139, 0.465, 0.604)
Ba (0.465, 0.861, 0.326)
Ba (0.535, 0.139, 0.674)
Ba (0.861, 0.535, 0.396)
Y (0.168, 0.752, 0.920)
Y (0.248, 0.168, 0.415)
Y (0.358, 0.589, 0.946)
Y (0.411, 0.358, 0.769)
Y (0.589, 0.642, 0.231)
Y (0.642, 0.411, 0.054)
Y (0.752, 0.832, 0.585)
Y (0.832, 0.248, 0.080)
Zn (0.041, 0.251, 0.292)
Zn (0.251, 0.959, 0.211)
Zn (0.749, 0.041, 0.789)
Zn (0.959, 0.749, 0.708)
O (0.010, 0.604, 0.110)
O (0.037, 0.628, 0.665)
O (0.072, 0.202, 0.774)
O (0.100, 0.990, 0.594)
=====
Here the article continues:
Cabrera has been working since he was a young man to achieve one single goal: the world’s biggest penis. He began stretching his penis at a young age, using a technique that was employed by men for generations before the introduction of the first commercial penis extender. He began by using weights and bandages to essentially stretch his penis. This went on for years during which he used pretty much any method he could find, though he seems to credit the bulk of his success to his practice of stretching.
Today, Cabrera definitely measures in with the largest length and girth, but at what cost? He has been told by medical experts that in order to have a family or even engage in sexual intercourse, he needs to consider a round of penile reduction surgeries in order to bring his penis back to reasonable proportions. But he has rejected the idea – at least not until he receives formal recognition.
Surprisingly, even the reality of not being able to have sex doesn’t phase him. He currently wants to launch a porn career in spite of the fact that he hasn’t been able to actually have sex in years. He reports that he tried to have sex with two different women. The first immediately said no as soon as she saw his penis and the other had to stop when she couldn’t take the pain.
Theoretical powder X-ray diffraction pattern of AcGaF for Cu Kα X-rays, from a structure optimized by DFT (PBE).
Lines closer than 0.1° are merged.

Top 8 peaks for 2θ = 5–70°, by angle:
d = 4.192 Å, 21.2 deg, I = 28, hkl 0 0 6; d = 3.725 Å, 23.9 deg, I = 78, hkl 1 0 1; d = 3.231 Å, 27.6 deg, I = 100, hkl 1 0 4; d = 3.015 Å, 29.6 deg, I = 82, hkl 0 1 5; d = 2.600 Å, 34.5 deg, I = 65, hkl 1 0 7; d = 2.174 Å, 41.5 deg, I = 82, hkl 1 1 0; d = 1.954 Å, 46.5 deg, I = 42, hkl 0 1 11; d = 1.509 Å, 61.5 deg, I = 28, hkl 1 1 12

Atomic structure:
```
data_AcGaF
_cell_length_a 4.3487
_cell_length_b 4.3487
_cell_length_c 25.1493
_cell_angle_alpha 90.00
_cell_angle_beta 90.00
_cell_angle_gamma 120.00
_symmetry_space_group_name_H-M 'R -3 m'
_symmetry_Int_Tables_number 166
_symmetry_space_group_name_Hall '-R 3 2"'
loop_
_atom_site_label
_atom_site_type_symbol
_atom_site_fract_x
_atom_site_fract_y
_atom_site_fract_z
Ac1 Ac 0.0000 0.0000 0.0920
Ga1 Ga 0.0000 0.0000 0.3471
F1 F 0.0000 0.0000 0.1953
```

=====

Theoretical powder X-ray diffraction pattern of Li2AcGaF8 for Cu Kα X-rays, from a structure optimized by DFT (PBE).
Lines closer than 0.1° are merged.

Top 8 peaks for 2θ = 5–70°, by angle:
d = 7.315 Å, 12.1 deg, I = 33, hkl 0 0 1; d = 4.909 Å, 18.1 deg, I = 100, hkl 0 1 0; d = 4.378 Å, 20.3 deg, I = 64, hkl 1 0 0; d = 3.657 Å, 24.3 deg, I = 48, hkl 0 0 2; d = 3.325 Å, 26.8 deg, I = 51, hkl 1 -1 0; d = 3.213 Å, 27.8 deg, I = 37, hkl 1 1 0; d = 3.130 Å, 28.5 deg, I = 36, hkl 0 1 -2; d = 2.766 Å, 32.4 deg, I = 38, hkl 0 1 2

Atomic structure:
```
data_Li2AcGaF8
_cell_length_a 4.3825
_cell_length_b 4.9517
_cell_length_c 7.3778
_cell_angle_alpha 97.27
_cell_angle_beta 91.57
_cell_angle_gamma 91.77
_symmetry_space_group_name_H-M 'P -1'
_symmetry_Int_Tables_number 2
_symmetry_space_group_name_Hall '-P 1'
loop_
_atom_site_label
_atom_site_type_symbol
_atom_site_fract_x
_atom_site_fract_y
_atom_site_fract_z
Li1 Li 0.0308 0.4653 0.3173
Ac1 Ac 0.5000 0.0000 0.0000
Ga1 Ga 0.5000 0.0000 0.5000
F1 F 0.0565 0.2662 0.0695
F2 F 0.1813 0.2527 0.5134
F3 F 0.3270 0.7717 0.2781
F4 F 0.3407 0.7895 0.6820
```

=====

Theoretical powder X-ray diffraction pattern of AcGeF5 for Cu Kα X-rays, from a structure optimized by DFT (PBE).
Lines closer than 0.1° are merged.

Top 8 peaks for 2θ = 5–70°, by angle:
d = 5.019 Å, 17.7 deg, I = 42, hkl 1 1 0; d = 4.590 Å, 19.3 deg, I = 23, hkl 0 0 2; d = 3.629 Å, 24.5 deg, I = 100, hkl 2 0 0; d = 3.476 Å, 25.6 deg, I = 26, hkl 0 2 0; d = 3.187 Å, 28.0 deg, I = 43, hkl 1 1 2; d = 2.509 Å, 35.8 deg, I = 32, hkl 2 2 0; d = 2.207 Å, 40.9 deg, I = 27, hkl 3 1 -2; d = 1.914 Å, 47.5 deg, I = 23, hkl 3 1 2

Atomic structure:
```
data_AcGeF5
_cell_length_a 7.3854
_cell_length_b 6.9513
_cell_length_c 9.3461
_cell_angle_alpha 90.00
_cell_angle_beta 100.84
_cell_angle_gamma 90.00
_symmetry_space_group_name_H-M 'C 1 c 1'
_symmetry_Int_Tables_number 9
_symmetry_space_group_name_Hall 'C -2yc'
loop_
_atom_site_label
_atom_site_type_symbol
_atom_site_fract_x
The penile enlargement community raises issue with Cabrera as well. When he used stretching in order to increase the size of his penis, it didn’t result in the same way as if he had used a traction style penis extender. Since he stretched the penis, his massive length is now made up almost entirely of foreskin. So guys within the male enhancement community have asked if that really counts as being the world’s longest penis.
Cabrera’s long foreskin hangs down to almost his knees and since it isn’t actual penile tissue, that means it doesn’t become erect all the way to the end. It also causes a number of problems including recurring urinary tract infections since the urine isn’t all able to drain away from the foreskin regularly. So not only is Cabrera’s penis not too sexy at the sounds of it, it’s also not technically entirely penis. The bulk of it is stretched out foreskin.
Still, Cabrera’s work to lengthen his penis and his desire to have the longest penis category recognised by the Guinness Book of World Records stands as a reminder of what is possible. At the same time, it also serve as a reminder that there really can be too much of a good thing – even when it comes to penile enlargement.